Statistics Definitions > Asymptotic Normality and the Asymptotic Normal Distribution
Asymptotic Normality
Asymptotic normality is a property of an estimator: an estimator that is asymptotically normal will have an approximately normal distribution as the sample size gets infinitely large.
- Asymptotic refers to how the distribution of an estimator behaves as the sample size gets larger (i.e. tends to infinity).
- Normality refers to becoming similar to the normal distribution as the sample size tends to infinity.
Formal Definition of Asymptotic Normality
An estimate(e.g. the sample mean) has asymptotic normality if it converges on an unknown parameter at a “fast enough” rate, 1 / √(n) [1] Formally, an estimate has asymptotic normality if the following equation holds:
# 1
The following is a DFT calculation (PBE) of crystalline U3Bi2O9 at its relaxed geometry.

Values from the calculation:
- crystal system = tetragonal
- MP2020-corrected energy (eV per cell) = -256.0

Structure (CIF):
```
data_U3Bi2O9
_cell_length_a 3.810
_cell_length_b 3.810
_cell_length_c 28.142
_cell_angle_alpha 90.00
_cell_angle_beta 90.00
_cell_angle_gamma 90.00
_symmetry_space_group_name_H-M 'I -4 m 2'
_symmetry_Int_Tables_number 119
_symmetry_space_group_name_Hall 'I -4 -2'
loop_
_atom_site_label
_atom_site_type_symbol
_atom_site_fract_x
_atom_site_fract_y
_atom_site_fract_z
_atom_site_occupancy
U1 U 0.000 0.000 0.000 1
U2 U 0.000 0.000 0.401 1
Bi1 Bi 0.000 0.000 0.201 1
O1 O 0.000 0.500 0.048 1
O2 O 0.000 0.500 0.143 1
O3 O 0.000 0.500 0.250 1
O4 O 0.000 0.500 0.546 1
O5 O 0.000 0.500 0.639 1
```



# 2
The following is a DFT calculation (PBE) of crystalline U2Bi18O31 at its relaxed geometry.

Values from the calculation:
- crystal system = triclinic
- MP2020-corrected energy (eV per cell) = -328.7

Structure (CIF):
```
data_U2Bi18O31
_cell_length_a 3.961
_cell_length_b 3.966
_cell_length_c 62.785
_cell_angle_alpha 91.77
_cell_angle_beta 90.02
_cell_angle_gamma 119.93
_symmetry_space_group_name_H-M 'P 1'
_symmetry_Int_Tables_number 1
loop_
_symmetry_equiv_pos_as_xyz
'x,y,z'
loop_
_atom_site_label
_atom_site_type_symbol
_atom_site_fract_x
_atom_site_fract_y
_atom_site_fract_z
_atom_site_occupancy
U1 U 0.000 0.000 0.000 1
U2 U 0.347 0.694 0.048 1
Bi1 Bi 0.044 0.086 0.138 1
Bi2 Bi 0.097 0.192 0.298 1
Bi3 Bi 0.145 0.289 0.442 1
Bi4 Bi 0.198 0.395 0.601 1
Bi5 Bi 0.247 0.492 0.747 1
Bi6 Bi 0.296 0.590 0.894 1
Bi7 Bi 0.396 0.790 0.194 1
Bi8 Bi 0.445 0.889 0.342 1
Bi9 Bi 0.496 0.991 0.496 1
Bi10 Bi 0.547 0.093 0.649 1
Bi11 Bi 0.597 0.192 0.796 1
Bi12 Bi 0.646 0.289 0.943 1
Bi13 Bi 0.697 0.391 0.097 1
Bi14 Bi 0.748 0.494 0.250 1
Bi15 Bi 0.794 0.586 0.388 1
Bi16 Bi 0.847 0.691 0.546 1
Bi17 Bi 0.897 0.793 0.699 1
Bi18 Bi 0.946 0.891 0.846 1
O1 O 0.010 0.020 0.036 1
O2 O 0.062 0.123 0.193 1
O3 O 0.109 0.218 0.334 1
O4 O 0.156 0.311 0.476 1
O5 O 0.210 0.419 0.638 1
O6 O 0.235 0.469 0.713 1
O7 O 0.259 0.516 0.782 1
O8 O 0.283 0.564 0.855 1
O9 O 0.310 0.619 0.937 1
O10 O 0.335 0.668 0.014 1
O11 O 0.359 0.717 0.083 1
O12 O 0.407 0.812 0.228 1
O13 O 0.463 0.926 0.397 1
O14 O 0.511 0.020 0.539 1
O15 O 0.535 0.069 0.613 1
O16 O 0.559 0.117 0.684 1
O17 O 0.583 0.165 0.756 1
O18 O 0.610 0.219 0.837 1
O19 O 0.634 0.266 0.909 1
O20 O 0.661 0.320 0.995 1
O21 O 0.685 0.368 0.059 1
O22 O 0.712 0.423 0.143 1
O23 O 0.761 0.519 0.287 1
O24 O 0.812 0.623 0.443 1
O25 O 0.833 0.665 0.507 1
O26 O 0.858 0.715 0.581 1
O27 O 0.883 0.766 0.657 1
O28 O 0.910 0.820 0.738 1
O29 O 0.935 0.868 0.811 1
O30 O 0.958 0.915 0.880 1
O31 O 0.987 0.971 0.970 1
```



# 3
The following is a DFT calculation (PBE) of crystalline UBiO5 at its relaxed geometry.

Values from the calculation:
- crystal system = monoclinic
- MP2020-corrected energy (eV per cell) = -230.6

Structure (CIF):
```
[End of the calculated crystals]
which means that as n → ∞, the distribution of converges in distribution to a normal distribution with mean 0 and variance σ2.
In statistics, we’re usually concerned with estimators. However, sequences and probability distributions can also show asymptotic normality.
For example, a sequence of random variables, dependent on a sample size n is asymptotically normal if two sequences μn and σn exist such that:
limn>∞ P[(Tn – μn) / σn ≤ x] = φ(x)
Where “lim” is the limit (from calculus) [2].
Asymptotic Normality vs CLT
While asymptotic normality and the Central Limit Theorem (CLT) both involve distributions converging to a normal distribution, they are not strictly identical:
- CLT: A theorem stating that the sample mean (or sum) of i.i.d. random variables converges in distribution to a normal distribution as the sample size goes to infinity (under certain conditions, like finite variance).
- Asymptotic normality: A property of any estimator whose distribution converges (weakly) to a normal distribution as n→∞ This includes, but is not limited to, sample means.
The property of asymptotic normality can be established with the CLT.
Asymptotic Normal Distribution
An asymptotic normal distribution is the limiting distribution of a sequence of estimators that have the property of asymptotic normality. In other words, an asymptotic normal distribution is one that converges to a normal distribution as the sample size tends to infinity.
We often study asymptotic normality because estimators (such as the sample mean or sample standard deviation) may not be accurate for small samples—they can be biased, meaning their expected value deviates from the true population parameter. That said, as the sample size increases, the difference between the estimator and the parameter usually becomes small with high probability (though not always exactly zero for finite samples). When that difference converges to zero in probability, we call the estimator consistent. A consistent estimator’s bias often goes to zero as the sample size increases, but it may still be biased for any finite sample size.
Under these circumstances—large sample size and an estimator’s convergence to a true parameter—it’s common to find that the estimator’s distribution becomes approximately normal. This limiting distribution is what we call the asymptotic normal distribution.
- Panchenko, D. (2006). Lecture 3 Properties of MLE: consistency, asymptotic normality. Fisher information. Retrieved May 26, 2020 from:
- Kolassa, J. (2014). Asymptotic Normality. DOI: Le Cam, L. (2000). Asymptotics in Statistics: Some Basic Concepts (Springer Series in Statistics) 2nd Edition. Springer.